## Data
+++
[1]
Below is C22H21N2O5SiTi as an isolated structure, with properties calculated with ωB97M-V/def2-TZVPD.

As for the total charge: +1. Its spin multiplicity is 1.

Structure (XYZ):
```
52
Properties=species:S:1:pos:R:3:forces:R:3
Ti -0.342790 -0.989675 0.670306 0.0 0.1 0.1
O 4.940184 0.417583 -1.270380 0.0 0.0 0.0
C 5.458405 -0.798881 -1.310603 0.0 0.0 0.0
O 6.487632 -1.325286 -1.547755 0.0 0.0 0.0
C 4.046367 -0.832800 -0.932661 0.0 0.0 0.0
C 2.987329 -1.078761 -1.914600 0.0 0.0 0.0
C 1.719616 -1.238681 -1.530544 0.0 0.0 0.0
N 1.313605 -1.216142 -0.195008 0.1 0.0 0.0
C 2.335746 -1.043992 0.777885 0.0 0.0 0.0
C 3.621049 -0.875340 0.467809 0.0 0.0 0.0
C 1.862079 -0.998435 2.209989 0.0 0.0 -0.1
O 2.575659 -0.950570 3.155512 0.0 0.0 0.0
O 0.488104 -0.984400 2.306056 0.0 0.0 0.0
H 3.245145 -1.127053 -2.963331 0.0 0.0 0.0
H 0.929546 -1.413055 -2.249706 0.0 0.0 0.0
H 4.343559 -0.753183 1.263568 0.0 0.0 0.0
C -3.239355 -2.807864 -1.755811 0.0 0.0 0.0
Si -2.807220 -2.199980 -0.063099 0.0 0.0 0.0
C -4.163568 -2.371866 1.182095 0.0 0.0 0.0
C -1.271035 -3.219654 0.544693 0.0 0.0 0.0
N -2.059300 -0.632010 -0.051183 0.0 0.0 0.0
C -2.497445 0.685135 -0.241759 0.0 0.0 0.0
C -3.742471 1.102411 -0.687998 0.0 0.0 0.0
C -3.986492 2.461928 -0.844029 0.0 0.0 0.0
C -3.006734 3.401607 -0.558432 0.0 0.0 0.0
C -1.751567 3.003523 -0.106165 0.0 0.0 0.0
C -1.542941 1.654930 0.036974 0.0 0.0 0.0
O -0.341656 1.068654 0.494563 0.0 0.0 0.0
C 0.851867 1.840278 0.588057 0.0 0.0 0.0
C 1.302722 2.176805 1.846108 0.0 0.0 0.0
C 2.523200 2.835161 1.940687 0.0 0.0 0.0
C 3.244850 3.134781 0.794491 0.0 0.0 0.0
C 2.753469 2.790528 -0.459349 0.0 0.0 0.0
C 1.538657 2.132405 -0.573864 0.0 0.0 0.0
H -3.562980 -3.850205 -1.727191 0.0 0.0 0.0
H -2.394683 -2.728551 -2.441804 0.0 0.0 0.0
H -4.062104 -2.222122 -2.171351 0.0 0.0 0.0
H -4.534273 -3.398279 1.218247 0.0 0.0 0.0
H -5.007216 -1.729113 0.922232 0.0 0.0 0.0
H -3.830281 -2.092930 2.183142 0.0 0.0 0.0
H -1.763847 -4.187909 0.675541 0.0 0.0 0.0
H -0.823246 -3.078978 1.544198 0.0 0.0 0.0
H -0.478967 -3.420109 -0.184750 0.0 0.0 0.0
H -4.512334 0.376482 -0.918470 0.0 0.0 0.0
H -4.955521 2.789085 -1.194417 0.0 0.0 0.0
H -3.213556 4.454978 -0.683398 0.0 0.0 0.0
H -0.976463 3.721320 0.124639 0.0 0.0 0.0
H 0.728411 1.915584 2.725331 0.0 0.0 0.0
H 2.909219 3.103325 2.914412 0.0 0.0 0.0
H 4.199187 3.636628 0.876243 0.0 0.0 0.0
H 3.325038 3.019170 -1.348106 0.0 0.0 0.0
H 1.137391 1.843511 -1.537014 0.0 0.0 0.0
```
Forces are in eV/Å.
+++

## Work order
It remains to write out all of the listing further above unchanged.

## Worked solution
[1]
Below is C22H21N2O5SiTi as an isolated structure, with properties calculated with ωB97M-V/def2-TZVPD.

As for the total charge: +1. Its spin multiplicity is 1.

Structure (XYZ):
```
52
Properties=species:S:1:pos:R:3:forces:R:3
Ti -0.342790 -0.989675 0.670306 0.0 0.1 0.1
O 4.940184 0.417583 -1.270380 0.0 0.0 0.0
C 5.458405 -0.798881 -1.310603 0.0 0.0 0.0
O 6.487632 -1.325286 -1.547755 0.0 0.0 0.0
C 4.046367 -0.832800 -0.932661 0.0 0.0 0.0
C 2.987329 -1.078761 -1.914600 0.0 0.0 0.0
C 1.719616 -1.238681 -1.530544 0.0 0.0 0.0
N 1.313605 -1.216142 -0.195008 0.1 0.0 0.0
C 2.335746 -1.043992 0.777885 0.0 0.0 0.0
C 3.621049 -0.875340 0.467809 0.0 0.0 0.0
C 1.862079 -0.998435 2.209989 0.0 0.0 -0.1
O 2.575659 -0.950570 3.155512 0.0 0.0 0.0
O 0.488104 -0.984400 2.306056 0.0 0.0 0.0
H 3.245145 -1.127053 -2.963331 0.0 0.0 0.0
H 0.929546 -1.413055 -2.249706 0.0 0.0 0.0
H 4.343559 -0.753183 1.263568 0.0 0.0 0.0
C -3.239355 -2.807864 -1.755811 0.0 0.0 0.0
Si -2.807220 -2.199980 -0.063099 0.0 0.0 0.0
C -4.163568 -2.371866 1.182095 0.0 0.0 0.0
C -1.271035 -3.219654 0.544693 0.0 0.0 0.0
N -2.059300 -0.632010 -0.051183 0.0 0.0 0.0
C -2.497445 0.685135 -0.241759 0.0 0.0 0.0
C -3.742471 1.102411 -0.687998 0.0 0.0 0.0
C -3.986492 2.461928 -0.844029 0.0 0.0 0.0
C -3.006734 3.401607 -0.558432 0.0 0.0 0.0
C -1.751567 3.003523 -0.106165 0.0 0.0 0.0
C -1.542941 1.654930 0.036974 0.0 0.0 0.0
O -0.341656 1.068654 0.494563 0.0 0.0 0.0
C 0.851867 1.840278 0.588057 0.0 0.0 0.0
C 1.302722 2.176805 1.846108 0.0 0.0 0.0
C 2.523200 2.835161 1.940687 0.0 0.0 0.0
C 3.244850 3.134781 0.794491 0.0 0.0 0.0
C 2.753469 2.790528 -0.459349 0.0 0.0 0.0
C 1.538657 2.132405 -0.573864 0.0 0.0 0.0
H -3.562980 -3.850205 -1.727191 0.0 0.0 0.0
H -2.394683 -2.728551 -2.441804 0.0 0.0 0.0
H -4.062104 -2.222122 -2.171351 0.0 0.0 0.0
H -4.534273 -3.398279 1.218247 0.0 0.0 0.0
H -5.007216 -1.729113 0.922232 0.0 0.0 0.0
H -3.830281 -2.092930 2.183142 0.0 0.0 0.0
H -1.763847 -4.187909 0.675541 0.0 0.0 0.0
H -0.823246 -3.078978 1.544198 0.0 0.0 0.0
H -0.478967 -3.420109 -0.184750 0.0 0.0 0.0
H -4.512334 0.376482 -0.918470 0.0 0.0 0.0
H -4.955521 2.789085 -1.194417 0.0 0.0 0.0
H -3.213556 4.454978 -0.683398 0.0 0.0 0.0
H -0.976463 3.721320 0.124639 0.0 0.0 0.0
H 0.728411 1.915584 2.725331 0.0 0.0 0.0
H 2.909219 3.103325 2.914412 0.0 0.0 0.0
H 4.199187 3.636628 0.876243 0.0 0.0 0.0
H 3.325038 3.019170 -1.348106 0.0 0.0 0.0
H 1.137391 1.843511 -1.537014 0.0 0.0 0.0
```
Forces are in eV/Å.